# Data
-- begin --
Record 1
Simulated powder diffractogram
Compound: PdS2Cl6
Radiation: Cu Kα (weighted mean of Kα1 and Kα2)
Structure: the GGA-PBE geometry in Alexandria
Kinematic intensities with the Lorentz-polarization factor, no thermal factor.

Crystal structure
a b c (Å): 3.621 8.183 9.655
angles (deg): 75.05 87.80 87.25
Space group P-1 (No. 2)
Inequivalent atoms, fractional coordinates:
Pd  0.000  0.000  0.000
S  0.004  0.377  0.567
Cl  0.019  0.259  0.408
Cl  0.025  0.015  0.755
Cl  0.480  0.207  0.964

The 10 most intense peaks (2θ = 5–70°), sorted by position:
d 9.325, 2θ = 9.5°, intensity 16
d 7.899, 2θ = 11.2°, intensity 87
d 6.974, 2θ = 12.7°, intensity 100
d 5.384, 2θ = 16.5°, intensity 53
d 4.662, 2θ = 19.0°, intensity 38
d 3.616, 2θ = 24.6°, intensity 41
d 3.340, 2θ = 26.7°, intensity 15
d 2.762, 2θ = 32.4°, intensity 14
d 2.426, 2θ = 37.1°, intensity 15
d 2.410, 2θ = 37.3°, intensity 13

---

Record 2
Simulated powder diffractogram
Compound: PrNb3O9
Radiation: Cu Kα (weighted mean of Kα1 and Kα2)
Structure: the GGA-PBE geometry in Alexandria
Kinematic intensities with the Lorentz-polarization factor, no thermal factor.

Crystal structure
a b c (Å): 5.443 7.746 16.664
angles (deg): 90.00 92.09 90.00
Space group P2_1/c (No. 14)
Inequivalent atoms, fractional coordinates:
Pr  0.033  0.250  0.467
Nb  0.009  0.030  0.249
Nb  0.471  0.020  0.600
Nb  0.481  0.503  0.600
O  0.096  0.245  0.741
O  0.150  0.553  0.644
O  0.155  0.562  0.144
O  0.263  0.538  0.483
O  0.264  0.536  0.983
O  0.316  0.548  0.812
O  0.320  0.553  0.310
O  0.351  0.248  0.081
O  0.439  0.249  0.905

The 10 most intense peaks (2θ = 5–70°), sorted by position:
d 8.326, 2θ = 10.6°, intensity 53
d 3.874, 2θ = 23.0°, intensity 36
d 3.512, 2θ = 25.4°, intensity 41
d 3.366, 2θ = 26.5°, intensity 100
d 3.249, 2θ = 27.4°, intensity 85
d 3.155, 2θ = 28.3°, intensity 65
d 2.971, 2θ = 30.1°, intensity 53
d 2.930, 2θ = 30.5°, intensity 81
d 2.720, 2θ = 32.9°, intensity 55
d 1.937, 2θ = 46.9°, intensity 43


Entry 1:
The following is a theoretical powder diffractogram of UGeO. It was derived from DFT lattice parameters and positions (PBE), using Cu Kα, 1.54184 Å.

Cell: 3.4045 11.4612 5.5723 Å, 90.00 90.00 90.00°
Space group Cmcm (No. 63)
Asymmetric unit:
1 U 0.0000 0.0646 0.2500
2 Ge 0.0000 0.2173 0.7500
3 O 0.0000 0.5000 0.0000

The 12 most intense peaks (10 to 80 degrees two-theta), by angle:
index, d (Å), Position (°2θ), I_rel
0 2 0, 5.731, 15.5, 336
0 2 1, 3.995, 22.3, 486
1 1 0, 3.264, 27.3, 706
0 0 2, 2.786, 32.1, 451
0 4 1, 2.548, 35.2, 695
1 3 1, 2.313, 38.9, 1000
1 1 2, 2.119, 42.7, 593
1 5 1, 1.800, 50.7, 174
0 4 3, 1.559, 59.3, 158
1 3 3, 1.500, 61.9, 265
2 4 1, 1.415, 66.0, 232
1 7 2, 1.304, 72.5, 176

=====

Entry 2:
The following is a theoretical powder diffractogram of U2GeO10. It was derived from DFT lattice parameters and positions (PBE), using Cu Kα, 1.54184 Å.

Cell: 9.4286 10.8918 19.2123 Å, 90.00 90.00 90.00°
Space group Fddd (No. 70, origin choice 2)
Asymmetric unit:
1 U 0.1250 0.1250 0.2978
2 Ge 0.1250 0.1250 0.1250
3 O 0.0221 0.2668 0.5387
4 O 0.0308 0.0381 0.0624
5 O 0.1250 0.1250 0.3969

The 12 most intense peaks (10 to 80 degrees two-theta), by angle:
index, d (Å), Position (°2θ), I_rel
1 1 1, 6.683, 13.2, 1000
1 1 3, 4.764, 18.6, 661
0 2 2, 4.738, 18.7, 168
2 2 0, 3.564, 25.0, 721
1 1 5, 3.382, 26.3, 304
1 3 1, 3.337, 26.7, 165
0 2 6, 2.760, 32.4, 269
2 0 6, 2.649, 33.8, 214
4 0 0, 2.358, 38.2, 147
2 4 6, 1.899, 47.9, 213
4 2 6, 1.792, 50.9, 165
4 4 0, 1.783, 51.2, 222


Diffraction record for Nb8Zn4C3. The PXRD pattern is theoretical, not measured: it uses a structure optimized by DFT (PBE) and Cu Kα (weighted mean of Kα1 and Kα2).

a b c (Å): 8.498 8.498 8.498
angles (deg): 60.00 60.00 60.00
Atoms (fractional coordinates):
Nb1 0.000 0.000 0.000
Nb2 0.000 0.000 0.500
Nb3 0.000 0.500 0.000
Nb4 0.185 0.185 0.565
Nb5 0.185 0.565 0.185
Nb6 0.185 0.565 0.565
Nb7 0.435 0.435 0.815
Nb8 0.435 0.815 0.435
Nb9 0.435 0.815 0.815
Nb10 0.500 0.000 0.000
-- stop --

# Exercise
Now set down all of the notes earlier on verbatim.

# Here it is
Record 1
Simulated powder diffractogram
Compound: PdS2Cl6
Radiation: Cu Kα (weighted mean of Kα1 and Kα2)
Structure: the GGA-PBE geometry in Alexandria
Kinematic intensities with the Lorentz-polarization factor, no thermal factor.

Crystal structure
a b c (Å): 3.621 8.183 9.655
angles (deg): 75.05 87.80 87.25
Space group P-1 (No. 2)
Inequivalent atoms, fractional coordinates:
Pd  0.000  0.000  0.000
S  0.004  0.377  0.567
Cl  0.019  0.259  0.408
Cl  0.025  0.015  0.755
Cl  0.480  0.207  0.964

The 10 most intense peaks (2θ = 5–70°), sorted by position:
d 9.325, 2θ = 9.5°, intensity 16
d 7.899, 2θ = 11.2°, intensity 87
d 6.974, 2θ = 12.7°, intensity 100
d 5.384, 2θ = 16.5°, intensity 53
d 4.662, 2θ = 19.0°, intensity 38
d 3.616, 2θ = 24.6°, intensity 41
d 3.340, 2θ = 26.7°, intensity 15
d 2.762, 2θ = 32.4°, intensity 14
d 2.426, 2θ = 37.1°, intensity 15
d 2.410, 2θ = 37.3°, intensity 13

---

Record 2
Simulated powder diffractogram
Compound: PrNb3O9
Radiation: Cu Kα (weighted mean of Kα1 and Kα2)
Structure: the GGA-PBE geometry in Alexandria
Kinematic intensities with the Lorentz-polarization factor, no thermal factor.

Crystal structure
a b c (Å): 5.443 7.746 16.664
angles (deg): 90.00 92.09 90.00
Space group P2_1/c (No. 14)
Inequivalent atoms, fractional coordinates:
Pr  0.033  0.250  0.467
Nb  0.009  0.030  0.249
Nb  0.471  0.020  0.600
Nb  0.481  0.503  0.600
O  0.096  0.245  0.741
O  0.150  0.553  0.644
O  0.155  0.562  0.144
O  0.263  0.538  0.483
O  0.264  0.536  0.983
O  0.316  0.548  0.812
O  0.320  0.553  0.310
O  0.351  0.248  0.081
O  0.439  0.249  0.905

The 10 most intense peaks (2θ = 5–70°), sorted by position:
d 8.326, 2θ = 10.6°, intensity 53
d 3.874, 2θ = 23.0°, intensity 36
d 3.512, 2θ = 25.4°, intensity 41
d 3.366, 2θ = 26.5°, intensity 100
d 3.249, 2θ = 27.4°, intensity 85
d 3.155, 2θ = 28.3°, intensity 65
d 2.971, 2θ = 30.1°, intensity 53
d 2.930, 2θ = 30.5°, intensity 81
d 2.720, 2θ = 32.9°, intensity 55
d 1.937, 2θ = 46.9°, intensity 43


Entry 1:
The following is a theoretical powder diffractogram of UGeO. It was derived from DFT lattice parameters and positions (PBE), using Cu Kα, 1.54184 Å.

Cell: 3.4045 11.4612 5.5723 Å, 90.00 90.00 90.00°
Space group Cmcm (No. 63)
Asymmetric unit:
1 U 0.0000 0.0646 0.2500
2 Ge 0.0000 0.2173 0.7500
3 O 0.0000 0.5000 0.0000

The 12 most intense peaks (10 to 80 degrees two-theta), by angle:
index, d (Å), Position (°2θ), I_rel
0 2 0, 5.731, 15.5, 336
0 2 1, 3.995, 22.3, 486
1 1 0, 3.264, 27.3, 706
0 0 2, 2.786, 32.1, 451
0 4 1, 2.548, 35.2, 695
1 3 1, 2.313, 38.9, 1000
1 1 2, 2.119, 42.7, 593
1 5 1, 1.800, 50.7, 174
0 4 3, 1.559, 59.3, 158
1 3 3, 1.500, 61.9, 265
2 4 1, 1.415, 66.0, 232
1 7 2, 1.304, 72.5, 176

=====

Entry 2:
The following is a theoretical powder diffractogram of U2GeO10. It was derived from DFT lattice parameters and positions (PBE), using Cu Kα, 1.54184 Å.

Cell: 9.4286 10.8918 19.2123 Å, 90.00 90.00 90.00°
Space group Fddd (No. 70, origin choice 2)
Asymmetric unit:
1 U 0.1250 0.1250 0.2978
2 Ge 0.1250 0.1250 0.1250
3 O 0.0221 0.2668 0.5387
4 O 0.0308 0.0381 0.0624
5 O 0.1250 0.1250 0.3969

The 12 most intense peaks (10 to 80 degrees two-theta), by angle:
index, d (Å), Position (°2θ), I_rel
1 1 1, 6.683, 13.2, 1000
1 1 3, 4.764, 18.6, 661
0 2 2, 4.738, 18.7, 168
2 2 0, 3.564, 25.0, 721
1 1 5, 3.382, 26.3, 304
1 3 1, 3.337, 26.7, 165
0 2 6, 2.760, 32.4, 269
2 0 6, 2.649, 33.8, 214
4 0 0, 2.358, 38.2, 147
2 4 6, 1.899, 47.9, 213
4 2 6, 1.792, 50.9, 165
4 4 0, 1.783, 51.2, 222


Diffraction record for Nb8Zn4C3. The PXRD pattern is theoretical, not measured: it uses a structure optimized by DFT (PBE) and Cu Kα (weighted mean of Kα1 and Kα2).

a b c (Å): 8.498 8.498 8.498
angles (deg): 60.00 60.00 60.00
Atoms (fractional coordinates):
Nb1 0.000 0.000 0.000
Nb2 0.000 0.000 0.500
Nb3 0.000 0.500 0.000
Nb4 0.185 0.185 0.565
Nb5 0.185 0.565 0.185
Nb6 0.185 0.565 0.565
Nb7 0.435 0.435 0.815
Nb8 0.435 0.815 0.435
Nb9 0.435 0.815 0.815
Nb10 0.500 0.000 0.000